On October 14th all Australians have an important decision to make.
There has been a lot of divisive and harmful talk in recent weeks as we’ve headed to the referendum on the voice.
I’d like to put that aside and talk about some of the basic psychology and why I’ll be voting Yes. I also really want to encourage other Yes voters to understand that voting Yes is not enough. The odds are stacked significantly against us, and we have to be out there, talking to the 30% of people who’ve not made up their minds. If we all change one person’s mind to a Yes vote, we will win.
The game is rigged
Peter Dutton (leader of the opposition, and declared No supporter) has made some comments that the vote is ‘rigged in favour of yes’. I agree it is rigged, but not the way Mr Dutton claims.
The referendum is asking for change, it is asking for a voice to be granted to people who do not have one today. I agree the game is rigged, but it is rigged against the Yes campaign because of the high bar we need to get over and some deeply ingrained psychological biases that all humans have.
Winning is hard
To win a referendum in Australia, you need what’s called a ‘Double Majority’, this means getting a national majority of eligible voters as well as a majority of voters in at least 4 of the 6 states.
The chart below shows the magnitude of what stands in front of the Yes campaign, nationally roughly 30% of people are on the Yes side, about 30% of people are unsure and the remaining 40% are on the No side.
If we assume Yes and No aligned voters have already made up their minds, it leaves the unsure/on the fence people who will make the difference between Yes winning and losing. Because of the high bar of the double majority, it will take 75% of unsure voters in the closer states (those with the smallest gaps between Yes and 51%, being: NSW, VIC, SA and TAS) and 60% of those voters in the other two states (QLD and WA). Even this would only land at a national vote of 50.1%, which is just ‘squeaking’ over the finish line.
The picture below shows how hard this is, if Yes had to win a consistent 51% across all the states and territories it means capturing more than have of the unsure voters in most states and in WA and QLD this means getting more than 90% of unsure voters to vote Yes.
Because this is a very unlikely scenario, it means significant over-performance in the stronger states for Yes and still greater than 50% of unsure voters voting Yes in the weaker states.
- This chart is based on state by state data available here and is an average of the last 4 polls
- There are no ‘unsure’ numbers in the state by state data and so I combined it with data from here to get this view
- Enrolled voter numbers came from here
My scenario explained in the narrative above is visualised on the same chart below, it meets the double majority criteria, and is still a big mountain to climb.
My case is that this is an especially hard scenario when you take into consideration how the campaigns are running, and the general tendencies of humans to make choices which favour inertia.
Let's have a look at some of the most relevant tendencies.
Preference for the Status Quo
The status quo bias is a finding from behavioural economics and was written about in Nudge and Misbehaving by Richard Thaler. It is evident when people prefer to see things remain the same through inaction or by sticking with a previously made decision - even when the transition costs are low or there are significant implications to the decision.
This bias can come about when people stick with the ‘safe decision’ made in the past when they are faced with information overload, when people hit their cognitive limits they are more likely to ‘stick with what they know’ rather than explore the details of the choice.
I see that many of the current arguments that are being made, especially by the No campaign, involve complex counterfactuals which talk about what might happen in the future as a result of a Yes decision. These take considerable effort to understand and I expect that more than a few people may just decide it is all too hard and say No.
Endowment Effect
The endowment effect says we will value an object (or state) we currently have at a higher level than we would pay to acquire that same object (or state) if we did not already have it. This same effect has been extended by Prospect Theory to show that generally speaking, people are risk seeking for potential gains, but risk averse for potential losses.
This is relevant here because the more the implications of a Yes vote are framed as potential losses for unsure voters, the more likely they are to be ‘risk averse’ and again ‘stick with what they know’ and vote No.
Reading the 10 points the ‘No’ campaign have put in their pamphlet, at least 6 are raising potential losses and/or ambiguity which can be framed as losing something people perceive they have certainty of today. This is active exploitation of this way that humans think.
Will you buy a cleaning product which has a 20% chance of harming you? Or an 80% chance of not harming you? In both cases the expected outcome is the same, as the probability of harm is the same, but the framing is different and you are more likely to say yes to the second framing than the first.
Framing effects can be found in lots of places, especially on food packaging (think 80% lean vs 20% fat - which sounds better?)
Again, much of what is presented in the No case is framed negatively and as losses, which will evoke powerful responses from readers who will seek to be risk averse in the decisions they make in those negative frames.
When we are asked to make decisions about abstract concepts, our brains translate those questions into simpler ones. This can serve us very well, and most of the time it does, however the kicker is that most of us are unaware that we are not really answering the question we were asked.
There are several biases that come into play in this process, however one very relevant one is that coherent stories (and options) tend to come across as more plausible, and when we are being to vote Yes or No, we might actually be evaluating internally which side’s argument we find to be more coherent - and things that are simple to understand are generally considered more coherent.
As I’ve mentioned earlier, much of what has been written about the Voice is complex, although the No side have landed on a very simple message of saying: “if you are not sure, you should vote against it”. I think this gives No an advantage, it is simple, and simple fits well with coherence.
1.
Entry from Alexandria: Nd3ErTm3 after structural relaxation (PBE-GGA).

## Properties
size of the total moment = 0.000 Bohr magnetons per cell
polymorph energy (0 for the lowest one) = 0.00 kcal/mol of atoms
uncorrected energy = -4.591 eV/atom
calculated formation energy = 0.02 eV/atom

Cell lengths 9.588, 9.588, 5.729 Å; angles 90.00, 90.00, 120.00 degrees
Fractional positions:
Nd: 0.050 0.805 0.250
Nd: 0.195 0.244 0.250
Nd: 0.244 0.050 0.750
Nd: 0.756 0.950 0.250
Nd: 0.805 0.756 0.750
Nd: 0.950 0.195 0.750
Er: 0.333 0.667 0.250
Er: 0.667 0.333 0.750
Tm: 0.096 0.616 0.750
Tm: 0.384 0.480 0.750
Tm: 0.480 0.096 0.250
Tm: 0.520 0.904 0.750
Tm: 0.616 0.520 0.250
Tm: 0.904 0.384 0.250

2.
Entry from Alexandria: Nd2Er5Tm12 after structural relaxation (PBE-GGA).

## Properties
size of the total moment = 0.000 Bohr magnetons per cell
uncorrected energy = -4.393 eV/atom
calculated formation energy = 0.13 eV/atom

Cell lengths 9.054, 9.054, 8.397 Å; angles 90.96, 90.96, 60.51 degrees
Fractional positions:
Nd: 0.187 0.813 0.000
Nd: 0.813 0.187 0.000
Er: 0.197 0.197 0.007
Er: 0.266 0.266 0.422
Er: 0.500 0.500 0.500
Er: 0.734 0.734 0.578
Er: 0.803 0.803 0.993
Tm: 0.056 0.056 0.327
Tm: 0.065 0.681 0.350
Tm: 0.161 0.523 0.753
Tm: 0.319 0.935 0.650
Tm: 0.405 0.405 0.117
Tm: 0.477 0.839 0.247
Tm: 0.523 0.161 0.753
Tm: 0.595 0.595 0.883
Tm: 0.681 0.065 0.350
Tm: 0.839 0.477 0.247
Tm: 0.935 0.319 0.650
Tm: 0.944 0.944 0.673

3.
Entry from Alexandria: NdEr12Tm6 after structural relaxation (PBE-GGA).

## Properties
size of the total moment = 0.000 Bohr magnetons per cell
polymorph energy (0 for the lowest one) = 0.00 kcal/mol of atoms
uncorrected energy = -4.383 eV/atom
calculated formation energy = 0.16 eV/atom

Cell lengths 8.432, 8.432, 8.432 Å; angles 88.16, 88.16, 88.16 degrees
Fractional positions:
Nd: 0.000 0.000 0.000
Er: 0.008 0.356 0.212
Er: 0.212 0.008 0.356
Er: 0.227 0.564 0.456
Er: 0.356 0.212 0.008
Er: 0.436 0.544 0.773
Er: 0.456 0.227 0.564
Er: 0.544 0.773 0.436
Er: 0.564 0.456 0.227
Er: 0.644 0.788 0.992
Er: 0.773 0.436 0.544
Er: 0.788 0.992 0.644
Er: 0.992 0.644 0.788
Tm: 0.092 0.256 0.686
Tm: 0.256 0.686 0.092
Tm: 0.314 0.908 0.744
Tm: 0.686 0.092 0.256
Tm: 0.744 0.314 0.908
Tm: 0.908 0.744 0.314

4.
Entry from Alexandria: Nd2ErTm4 after structural relaxation (PBE-GGA).

## Properties
size of the total moment = 0.000 Bohr magnetons per cell
polymorph energy (0 for the lowest one) = 0.00 kcal/mol of atoms
uncorrected energy = -4.499 eV/atom
calculated formation energy = 0.07 eV/atom

Cell lengths 6.034, 8.384, 9.458 Å; angles 88.41, 78.29, 72.37 degrees
Fractional positions:
Nd: 0.000 0.000 0.000
Nd: 0.010 0.884 0.352
Nd: 0.740 0.843 0.728
Nd: 0.849 0.397 0.862
Er: 0.101 0.466 0.508
Er: 0.892 0.334 0.231
Tm: 0.203 0.050 0.638
Tm: 0.284 0.622 0.804
Tm: 0.335 0.521 0.156
Tm: 0.407 0.201 0.935
Tm: 0.459 0.111 0.287
Tm: 0.542 0.674 0.448
Tm: 0.644 0.260 0.581
Tm: 0.728 0.732 0.091

5.
So What...
I wrote this to try and bring to people’s attention that Yes is far from in the bag, and that it has to pass a pretty high bar. When you consider the weight of human behaviour (and to some extent apathy), that bar just gets higher.
Ultimately, I’m voting Yes because I am not aware of a single time in human history where accepting a broader range of inputs and opinions in any decision making process has led to a materially worse outcome for society in the long term. We are a pluralistic society, that means we accept more than one viewpoint, and we should have more of those, not less.
If you are also a Yes voter, then look at the numbers and realise that just voting Yes is not enough, you need to be talking about why, and trying to change minds where you can.
If you are unsure, then think about why you’d vote No, and if it is related to some of the things I’ve raised then ask yourself, have you really engaged with the facts?
Consider the very difficult task in front of the Yes campaign, consider if you are really giving anything up by voting Yes - I'd posit you are not giving anything up, that the 'transition costs' are low - but that the opportunity cost of inertia is very, very high.
-- Richard, Sep 2023